What to do:
Please print the part of the block further below that starts with the line with "-3.061 1.337" and stops after the one with "-0.096 0.059".

Contents:
/*
Molecular formula: C35H95N5O40S10
Method: DFT, wB97M-V/def2-TZVPD

Strongest force on any atom = 5.5 eV/Å
ΔE to the lowest compared entry with this formula, charge and spin = 0.0 kcal per mole
Kohn-Sham gap = 0.34532 hartree
2S+1 = 1

Geometry as XYZ:
```
185
Properties=species:S:1:pos:R:3:forces:R:3:mulliken_charge:R:1
C -4.531 2.423 -6.831 -0.212 -0.403 -0.063 -0.840
N -4.204 1.371 -5.827 -0.731 -0.954 3.065 0.660
O -3.061 1.337 -5.345 -2.054 -0.140 -1.114 -0.188
O -5.180 0.689 -5.364 2.810 1.657 -1.715 -0.493
H -5.190 1.932 -7.547 0.216 0.237 -0.121 0.312
H -3.618 2.852 -7.244 -0.127 -0.308 0.073 0.293
H -5.103 3.183 -6.298 0.078 -0.096 0.059 0.309
C 1.194 1.688 -6.503 0.415 -0.125 -0.237 -0.268
N 0.148 0.865 -7.188 0.610 1.353 -4.840 0.846
O -0.767 0.439 -6.575 -0.909 -0.956 1.924 -0.418
O 0.184 0.784 -8.454 0.668 0.185 2.578 -0.581
H 1.747 0.983 -5.882 -0.296 0.409 0.504 0.274
H 0.663 2.513 -6.028 -0.034 -0.567 0.495 -0.128
H 1.905 2.148 -7.189 -0.373 -0.476 -0.472 0.310
C 4.486 -0.469 -1.128 0.907 0.387 0.794 -0.495
N 5.850 -0.473 -1.787 0.267 -1.765 -1.451 1.009
O 6.163 -1.577 -2.307 -0.384 2.401 1.142 -0.592
O 6.540 0.537 -1.820 -0.908 -1.021 0.225 -0.551
H 4.226 0.558 -0.873 -0.249 -0.144 -0.647 0.034
H 4.663 -0.917 -0.150 0.040 -0.309 -0.041 0.217
H 3.785 -1.091 -1.684 0.253 0.427 -0.133 0.365
C 0.040 4.303 -3.784 0.068 1.612 -0.062 -0.470
N -0.930 4.685 -4.849 -2.041 4.214 0.264 1.033
O -1.535 5.795 -4.884 1.875 -1.520 1.634 -0.600
O -1.150 3.925 -5.716 0.251 -3.252 -2.028 -0.571
H 0.946 3.993 -4.304 -0.340 -0.605 0.226 0.291
H -0.451 3.598 -3.113 0.323 -0.071 -0.271 0.061
H 0.291 5.237 -3.281 -0.215 -0.147 0.252 0.229
C 4.256 3.380 2.726 0.701 1.456 -0.739 -0.823
N 3.872 2.351 1.668 3.131 -1.601 -0.294 1.103
O 2.761 1.904 1.655 -0.731 0.273 0.148 -0.404
O 4.790 1.931 0.890 -2.112 1.672 2.018 -0.564
H 3.909 3.343 3.759 -0.819 -1.054 -0.459 0.289
H 3.899 4.321 2.307 -0.294 0.000 0.015 0.044
H 5.332 3.532 2.810 0.028 -0.694 -0.592 0.376
O 3.353 -4.984 6.049 2.909 -1.706 -4.327 -0.563
S 4.009 -5.533 4.805 -0.753 1.688 1.383 1.011
O 4.015 -6.940 4.511 -0.220 0.698 0.441 -0.529
O 3.353 -4.680 3.500 -0.047 -0.735 1.069 0.080
C 3.850 -4.903 2.163 0.999 -0.709 -0.573 -0.191
C 3.885 -6.363 1.702 0.191 -0.516 0.408 -1.164
C 5.770 -5.005 4.582 -1.091 0.403 0.810 -0.856
H 4.843 -4.455 2.119 0.264 -0.094 -0.025 0.384
H 3.320 -4.354 1.385 -0.899 0.420 0.831 0.103
H 3.012 -6.899 2.077 0.031 0.057 0.142 0.188
H 4.775 -6.873 2.072 -0.135 -0.073 0.214 0.300
H 3.904 -6.537 0.627 -0.063 0.700 -0.165 0.397
H 6.097 -5.271 3.577 -0.084 -0.184 0.261 0.322
H 6.360 -5.469 5.372 -0.123 -0.230 -0.205 0.424
H 5.806 -3.926 4.735 -0.078 -0.006 -0.107 0.133
O -1.445 1.676 7.948 -1.037 2.181 -4.416 -0.586
S -1.973 2.453 6.754 -1.053 -0.112 2.743 1.079
O -1.724 3.913 6.666 -0.369 -3.356 -0.239 -0.589
O -1.593 1.701 5.317 0.143 -0.145 4.074 -0.110
C -2.100 2.209 4.118 -0.161 -0.428 -0.179 -0.786
C -0.940 2.222 3.203 0.216 1.004 -1.598 -0.546
C -3.851 2.112 6.737 1.133 -0.372 -0.475 -0.886
H -2.584 3.178 4.243 0.217 0.075 0.071 0.636
H -2.816 1.490 3.721 -0.431 0.079 0.166 0.248
H 0.016 2.511 3.640 -0.295 0.302 0.251 0.233
H -1.283 2.996 2.517 0.797 -0.094 -0.819 0.340
H -0.764 1.289 2.667 -0.250 -0.032 0.031 0.026
H -4.406 2.691 7.475 0.436 0.226 -0.179 0.365
H -4.018 1.050 6.918 0.543 -0.014 0.421 0.319
H -4.221 2.223 5.718 0.077 0.693 0.079 0.298
O 0.823 -5.249 5.560 -1.704 -1.929 -2.482 -0.555
S 0.285 -6.062 4.462 1.955 -0.086 0.810 1.177
O 1.144 -7.110 3.835 -2.386 2.342 1.087 -0.635
O -1.039 -6.778 5.104 0.393 1.568 0.386 -0.364
C -1.770 -7.647 4.259 1.005 0.360 -2.104 -0.113
C -1.497 -9.002 4.675 -0.280 -2.524 2.053 -1.407
C -0.433 -4.966 3.147 -0.086 -0.551 0.362 -0.914
H -1.300 -7.517 3.284 -0.663 0.010 -0.561 0.316
H -2.847 -7.483 4.213 0.120 0.759 0.231 0.354
H -0.443 -9.202 4.870 0.015 0.033 -0.531 0.278
H -1.977 -9.797 4.104 0.260 0.208 -0.558 0.375
H -1.971 -9.132 5.648 0.021 -0.045 0.389 0.356
*/

Worked solution:
O -3.061 1.337 -5.345 -2.054 -0.140 -1.114 -0.188
O -5.180 0.689 -5.364 2.810 1.657 -1.715 -0.493
H -5.190 1.932 -7.547 0.216 0.237 -0.121 0.312
H -3.618 2.852 -7.244 -0.127 -0.308 0.073 0.293
H -5.103 3.183 -6.298 0.078 -0.096 0.059 0.309